Listing:
Here is a 2-piece molecular cluster, C14H30B3O7PS overall in a non-equilibrium geometry from the Open Molecules 2025 dataset. Energies are from ωB97M-V/def2-TZVPD.

## Properties
- net charge = 0
- LUMO energy (eV) = 0.0
- molar mass (g mol⁻¹) = 405.86
- SMILES = CC(C)=CCC[C@@H](C)CCB1OB(O)OB([PH2]=S)O1.CCOC(=O)OC
- HOMO (eV) = -8.03

Atoms and positions in Å:
C 1.41025 -5.40193 1.56427
C 0.89527 -4.84387 0.26871
C -0.45528 -5.34008 -0.18257
C 1.60915 -3.98167 -0.47488
C 1.79699 -4.16469 -1.97207
C 2.93810 -3.30088 -2.50982
C 2.61487 -1.78819 -2.66175
C 3.64462 -1.18070 -3.65027
C 1.17913 -1.54879 -3.12514
C 0.79483 -0.07372 -3.39108
B 1.37945 0.89921 -2.32460
O 2.58039 1.57305 -2.54109
B 3.40204 1.74622 -1.44355
O 4.73376 2.02155 -1.59685
O 2.84160 1.69695 -0.16472
B 1.47472 1.82437 -0.20576
P 0.59515 3.01419 1.04293
S -0.29276 1.88809 2.38434
O 0.74094 1.10801 -1.10395
H 1.86723 -4.63637 2.19827
H 2.17546 -6.14896 1.34730
H 0.63447 -5.90213 2.14727
H -0.49284 -6.43290 -0.25784
H -0.68705 -4.95537 -1.17409
H -1.18835 -5.00264 0.54953
H 2.07900 -3.12346 0.00191
H 0.87399 -4.03886 -2.54491
H 2.08414 -5.20947 -2.10848
H 3.74620 -3.36227 -1.77584
H 3.26023 -3.70850 -3.46864
H 2.79624 -1.35880 -1.66763
H 4.21528 -1.95861 -4.15403
H 4.35888 -0.54731 -3.12126
H 3.17057 -0.53804 -4.38976
H 0.46976 -1.96062 -2.40626
H 1.03788 -2.13124 -4.04223
H -0.29621 -0.01132 -3.33633
H 1.05816 0.22735 -4.40561
H 5.30797 1.25215 -1.51283
H 1.54037 3.91131 1.56332
H -0.30315 3.81713 0.31279
C -3.04014 3.98297 2.10635
C -3.39425 3.32604 3.41976
O -3.98042 4.26177 4.34543
C -5.25566 4.56251 4.12728
O -5.95927 4.11609 3.25772
O -5.63580 5.45356 5.04732
C -6.97737 5.92154 4.89514
H -2.40067 4.85167 2.27735
H -2.51851 3.27881 1.46206
H -3.93797 4.32703 1.59227
H -2.49716 2.96001 3.91113
H -4.06565 2.48021 3.27494
H -7.67614 5.08983 4.84085
H -7.06439 6.53704 4.00100
H -7.18805 6.52274 5.77459

=====

Here is C14H30F6K2NO10S2 as an isolated structure in a non-equilibrium geometry from the Open Molecules 2025 dataset. Energies are from ωB97M-V/def2-TZVPD.

## Properties
- net charge = +1
- LUMO energy (eV) = -3.6
- molar mass (g mol⁻¹) = 628.71
- HOMO (eV) = -10.94

Atoms and positions in Å:
K 0.08471 1.94102 4.30196
K -0.18120 -6.02569 3.55393
C 1.74999 -0.99931 2.54276
F 2.24480 -1.39740 3.66059
F 1.57443 0.34563 2.52740
F 2.52438 -1.36866 1.45144
S -0.11015 -1.77112 2.42639
O -0.42604 -1.69905 1.02102
O -0.08627 -3.08450 3.01475
N -0.95776 -0.56127 3.26385
S -2.43788 -0.99485 3.26964
O -3.01204 -1.45190 1.99221
O -2.76122 -1.68604 4.55669
C -3.27481 0.74034 3.43623
F -3.00280 1.56094 2.41402
F -4.64541 0.59627 3.53618
F -2.80940 1.39015 4.52442
C -2.43225 1.08739 -0.78482
O -3.67403 1.84355 -0.91580
C -4.45912 1.49918 -2.03277
C -4.72821 -0.01953 -1.96041
O -5.72869 -0.40249 -2.94168
C -5.67631 -1.77627 -3.26766
H -2.75074 0.21824 -0.20928
H -1.73997 1.63004 -0.14110
H -1.89025 0.79773 -1.68506
H -3.93107 1.88842 -2.90326
H -5.43144 1.98177 -2.13179
H -5.19622 -0.24131 -1.00131
H -3.82859 -0.63215 -2.01946
H -6.69622 -1.97438 -3.59728
H -5.57576 -2.58464 -2.54342
H -4.90897 -1.95402 -4.02112
C 3.08135 2.09611 -0.30863
O 2.17828 3.21248 -0.68091
C 0.87740 3.20701 -0.05286
C 0.95551 3.74337 1.37899
O -0.25958 3.58349 2.11618
C -1.29182 4.52268 1.92749
H 3.24774 2.09820 0.76860
H 4.03024 2.16434 -0.84065
H 2.54784 1.19432 -0.60904
H 0.48583 2.19074 -0.00862
H 0.25600 3.75213 -0.76336
H 1.21703 4.79281 1.24342
H 1.79563 3.31623 1.92657
H -1.89957 4.42603 1.02782
H -0.88494 5.53368 1.90699
H -1.83321 4.56708 2.87248
C 7.27064 -1.95827 -1.96788
O 5.85809 -1.71352 -2.30611
C 5.10589 -2.86709 -1.92806
C 3.61551 -2.59768 -2.28124
O 2.75600 -3.42836 -1.52441
C 1.41298 -2.98881 -1.67972
H 7.91484 -1.10769 -2.19067
H 7.54559 -2.83767 -2.55025
H 7.33960 -2.01681 -0.88164
H 5.21396 -3.05007 -0.85897
H 5.50573 -3.75064 -2.42564
H 3.41018 -2.85495 -3.32035
H 3.42192 -1.52504 -2.27436
H 1.38007 -1.91954 -1.47072
H 0.89955 -3.54559 -0.89583
H 1.02041 -3.13530 -2.68596

Brief:
Count the lines further above that contain the word "Here" and give the number alone, please.

Outcome:
2